**Brief:**
Could you work out how many lines further down have the word "As1" in them; a number is enough?
**Entries:**
/*
(1)
## CrFe3 (PBE)

Data for a geometry-optimized CrFe3 structure.

The value obtained for the formation energy is 0.102 eV per atom. For the total moment, the calculation gives 0.11 μB per atom. As for the symmetry: Cmmm (65).

abc: 4.3554 4.3554 2.4619
angles: 90.00 90.00 110.81
Closest atoms and distances in Å follow each position.
Positions (direct):
Fe1 0.5000 0.0000 0.5000  8 Fe 2.46-2.50, 4 Cr 2.50
Fe2 0.5000 0.5000 0.0000  10 Fe 2.46-2.50, 2 Cr 2.47
Fe3 0.0000 0.5000 0.5000  8 Fe 2.46-2.50, 4 Cr 2.50
Cr1 0.0000 0.0000 0.0000  2 Cr 2.46, 10 Fe 2.47-2.50

***

(2)
## AcAl2GePt4 (PBE)

Data for a geometry-optimized AcAl2GePt4 structure.

The value obtained for the formation energy is -0.854 eV per atom. For the total moment, the calculation gives 0.00 μB per atom. As for the symmetry: R-3m (166).

abc: 4.3439 4.3439 9.5922
angles: 76.91 76.91 60.00
Closest atoms and distances in Å follow each position.
Positions (direct):
Pt1 0.5924 0.5924 0.2228  1 Ge 2.57, 3 Al 2.57
Al1 0.2384 0.2384 0.2849  7 Pt 2.57-2.83
Ge1 0.5000 0.5000 0.5000  8 Pt 2.57-2.64
Al2 0.7616 0.7616 0.7151  7 Pt 2.57-2.83
Pt2 0.1364 0.1364 0.5907  3 Ge 2.64, 4 Al 2.76-2.83
Ac1 0.0000 0.0000 0.0000  6 Pt 3.25
Pt3 0.4076 0.4076 0.7772  1 Ge 2.57, 3 Al 2.57
Pt4 0.8636 0.8636 0.4093  3 Ge 2.64, 4 Al 2.76-2.83

***

(3)
## Si2IrSe (PBE)

Data for a geometry-optimized Si2IrSe structure.

The energy comes out at -22.1 eV for the cell shown. For the total moment, the calculation gives 0.00 μB per atom. As for the symmetry: Immm (71).

abc: 5.9279 5.9279 5.9279
angles: 152.44 135.05 53.54
Closest atoms and distances in Å follow each position.
Positions (direct):
Si1 0.5496 0.5496 0.0000  2 Ir 2.55, 2 Si 2.82
Se1 0.2500 0.7500 0.5000  4 Ir 2.67, 2 Se 2.82
Ir1 0.7500 0.2500 0.5000  4 Si 2.55, 4 Se 2.67, 2 Ir 2.82
Si2 0.9504 0.9504 0.0000  2 Ir 2.55, 2 Si 2.82

***

(4)
## Er2Ni3P2 (PBE)

Data for a geometry-optimized Er2Ni3P2 structure.

The value obtained for the formation energy is -0.918 eV per atom. For the total moment, the calculation gives 0.00 μB per atom. As for the symmetry: C2/m (12).

abc: 3.6549 5.2520 6.6170
angles: 115.16 90.00 110.36
Closest atoms and distances in Å follow each position.
Positions (direct):
P1 0.8484 0.6968 0.7814  5 Ni 2.32-2.39
Er1 0.8683 0.7365 0.2320  4 P 2.78-2.90, 7 Ni 2.91-3.10
P2 0.1516 0.3032 0.2186  5 Ni 2.32-2.39
Ni1 0.6367 0.2734 0.4291  3 P 2.32-2.34, 1 Ni 2.53
Ni2 0.3633 0.7266 0.5709  3 P 2.32-2.34, 1 Ni 2.53
Ni3 0.5000 0.0000 0.0000  4 P 2.39, 2 Ni 2.53
Er2 0.1317 0.2635 0.7680  4 P 2.78-2.90, 7 Ni 2.91-3.10

***

(5)
## Rb4HAu2 (PBE)

Data for a geometry-optimized Rb4HAu2 structure.

The calculation puts the energy above the most stable polymorph in this dataset at 15.1 meV per atom. For the total moment, the calculation gives 0.00 μB per atom. As for the symmetry: I4/mmm (139).

abc: 5.4728 5.4728 9.9756
angles: 105.92 105.92 90.00
Closest atoms and distances in Å follow each position.
Positions (direct):
Rb1 0.1757 0.1757 0.3515  1 H 3.23, 1 Au 3.55
H1 0.0000 0.0000 0.0000  4 Rb 2.74
Rb2 0.5000 0.0000 0.0000  2 H 2.74
Rb3 0.8243 0.8243 0.6485  1 H 3.23, 1 Au 3.55
Rb4 0.0000 0.5000 0.0000  2 H 2.74
Au1 0.3688 0.3688 0.7376  9 Rb 3.55-3.96
Au2 0.6312 0.6312 0.2624  9 Rb 3.55-3.96

***

(6)
## Hf2Zn2As (PBE)

Data for a geometry-optimized Hf2Zn2As structure.

The calculation puts the energy above the most stable polymorph in this dataset at 89.7 meV per atom. The value obtained for the formation energy is -0.180 eV per atom. For the total moment, the calculation gives 0.00 μB per atom. As for the symmetry: I4/mmm (139).

abc: 3.4743 3.4743 8.1618
angles: 77.71 77.71 90.00
Closest atoms and distances in Å follow each position.
Positions (direct):
As1 0.0000 0.0000 0.0000  8 Hf 2.87
Hf1 0.5959 0.5959 0.8082  4 As 2.87, 4 Zn 2.96, 1 Hf 2.99
Hf2 0.4041 0.4041 0.1918  4 As 2.87, 4 Zn 2.96, 1 Hf 2.99
Zn1 0.7500 0.2500 0.5000  4 Zn 2.46
Zn2 0.2500 0.7500 0.5000  4 Zn 2.46

***

(7)
## LaSiHg2H (PBE)
*/
**Response:**
1